The Bow of Taking

The Bow of Taking represents the true nature of The Dreaming. It is glamour infused, bright and colorful, and slightly sentient, with a personality completly of its own.

When this brightly colored bow is placed on the top of a boxed gift, the reciever must take the gift, even if she knows it contains something harmful. There have been several incidents over the years of assinations using this bow. Duchess Trasta, from the Kingdom of Pacifica, was killed in this manner.

The Bow isn't always used for devious purposes, however. Many heartbroken lovers have used it to give gifts to their angry sweethearts who otherwise would have refused to take them, repairing the damage caused by a fight.

### Someone pasted records of crystals at this point
Ac6TeSe3S2, optimized geometry, DFT PBE; raw formation energy = -1.828 eV per atom; magnetic moment = 0.000 μB/cell; N(E_F) = 0.512 states/eV/atom; calculated volume = 31.38 A^3/atom; space-group type = C2/m; total energy = -0.2096 hartree per atom
1.0
3.8625 -6.7087 0.0000
3.8625 6.7087 0.0000
-2.6051 0.0000 7.2661
Ac Te Se S
6 1 3 2
Cartesian
-0.0907 2.3608 5.4660
1.1410 0.0000 1.7709
-0.0907 -2.3608 5.4660
5.2106 2.3608 1.8001
3.9789 0.0000 5.4952
5.2106 -2.3608 1.8001
3.8625 0.0000 0.0000
-1.3026 0.0000 3.6331
2.5600 2.1288 3.6331
2.5600 -2.1288 3.6331
3.8625 4.4629 0.0000
3.8625 -4.4629 0.0000



Ac4Te2SeS, optimized geometry, DFT PBE; raw formation energy = -1.713 eV per atom; magnetic moment = 0.000 μB/cell; N(E_F) = 0.365 states/eV/atom; calculated volume = 33.64 A^3/atom; space-group type = P2/m; total energy = -0.2023 hartree per atom
1.0
7.8578 0.0000 0.0000
0.0000 4.5136 0.0000
-2.5961 0.0000 7.5873
Ac Te Se S
4 2 1 1
Cartesian
1.2538 0.0000 1.6377
-0.0476 2.2568 5.9198
5.3092 2.2568 1.6675
4.0079 0.0000 5.9496
-1.2981 0.0000 3.7936
2.6308 2.2568 3.7936
3.9289 0.0000 0.0000
0.0000 2.2568 0.0000



Ac8Te4Se3S, optimized geometry, DFT PBE; raw formation energy = -1.697 eV per atom; magnetic moment = 0.000 μB/cell; N(E_F) = 0.346 states/eV/atom; calculated volume = 34.07 A^3/atom; space-group type = R-3m; total energy = -0.2002 hartree per atom
1.0
4.5562 2.6305 7.5800
-4.5562 2.6305 7.5800
0.0000 -5.2610 7.5800
Ac Te Se S
8 4 3 1
Cartesian
0.0000 0.0000 5.4935
-2.2140 -1.2783 13.0359
0.0000 -2.5565 9.7040
-2.2140 1.2783 9.7040
2.2140 -1.2783 13.0359
0.0000 2.5565 13.0359
2.2140 1.2783 9.7040
0.0000 0.0000 17.2465
0.0000 0.0000 0.0000
-2.2781 -1.3153 7.5800
-2.2781 1.3153 15.1600
0.0000 2.6305 7.5800
-4.5562 0.0000 11.3700
-2.2781 1.3153 3.7900
2.2781 1.3153 3.7900
0.0000 0.0000 11.3700



AcTiSeS2, optimized geometry, DFT PBE; raw formation energy = -1.618 eV per atom; magnetic moment = 0.612 μB/cell; N(E_F) = 0.348 states/eV/atom; calculated volume = 24.07 A^3/atom; space-group type = P4mm; total energy = -0.2340 hartree per atom
1.0
4.7742 0.0000 0.0000
0.0000 4.7742 0.0000
0.0000 0.0000 5.2795
Ac Ti Se S
1 1 1 2
Cartesian
0.0000 0.0000 0.0000
2.3871 2.3871 1.9055
2.3871 2.3871 4.5311
0.0000 2.3871 1.8695
2.3871 0.0000 1.8695



Ac4TlSe2S, optimized geometry, DFT PBE; raw formation energy = -1.472 eV per atom; magnetic moment = 0.000 μB/cell; N(E_F) = 0.456 states/eV/atom; calculated volume = 33.12 A^3/atom; space-group type = P2/m; total energy = -0.1914 hartree per atom
1.0
7.8739 0.0000 0.0000
0.0000 4.4878 0.0000
-2.6050 0.0000 7.4979
Ac Tl Se S
4 1 2 1
Cartesian
1.2439 0.0000 1.8359
-0.0464 2.2439 5.5780
5.3153 2.2439 1.9199
4.0249 0.0000 5.6620
2.6344 2.2439 3.7490
0.0000 2.2439 0.0000
3.9369 0.0000 0.0000
-1.3025 0.0000 3.7490

Some people claim that they have enough will to resist this treasure. But more often than not, the eventually succomb, as the same gift can be rewrapped and given again.
{Storyteller's note: One temporary point of willpower may be spent to resist. The giver may attempt to give the gift again, if the present is rewrapped in a new package. If this is done, the reciever must spend another willpower, and so on.}

When the bow is given away, the giver can never get the bow back, unless it is given to him later, either as a gift, or attached to a gift.

The bow is completely indestructable. Any attempts to crush it, burn it, or cut it fail. Its desire to be given is also indestructable, for if someone throws the bow away, it will find its way back to a Kithain or someone with fae blood. Often, a Kithain will open their front door to find a brightly wrapped box with the bright bow atop it, and a nice gift inside. Once, a curious Pooka threw it away to see what would happen. He followed the garbage truck to the dump and watched the pile of rubish that it dumped. After nearly an hour, he saw the bow appear on the surface, and begin moving about in search of a clean box. When one was found, it somehow drug the box around with it in clear hunt for wrapping paper and a castaway gift. When this was done, he watched as it neatly wrapped the gift, placed itself on top, and floated the box through the air to a nearby Redcap's shack. The Redcap seemed elated with the gift, and the Pooka saw the bow passed from person to person for nearly a year before it left that city.

Take me to see the list of treasures again.

{I shall infuse this page with a little banality, by saying that all writings herein are Copyright(C)1996, by Becky Flesher. Changeling:The Dreaming and all words and refferences to it are copyright or trademarked or what ever to White Wolf Gaming Studios. Please, don't steal from either of us without permission!! Using this stuff for the benifit of personal gaming is fine, but copying it to other websites or copying it in any other way without getting the go-ahead from me first is inexcusable.}